The East of England’s Potential Response to ‘The Great Recovery’
The East of England All Party Parliamentary Group (APPG) met virtually on the 7th May 2020 to discuss the East of England’s potential contribution to ‘the great recovery’ from Covid-19.
Cllr Linda Haysey, Chair of the East of England Infrastructure and Growth Panel, attended as a guest speaker on behalf of the East of England Local Government Association.
Cllr Haysey informed the APPG of the great work that local authorities had achieved so far during this crisis such as distributing food parcels, keeping up the delivery of PPE where it is available and most importantly keeping up local government services such as refuse collection that residents pay Council Tax for and expect to see.
The discussion centred around the contribution businesses, small and large, will be able to make to the national recovery. The Group also covered the specific intervention and support that will be needed from national Government. A letter to Rt Hon Steve Barclay MP, Chief Secretary to the Treasury was sent from the APPG as a result of the meetings discussion.
Cllr Haysey stated that the LGA have found a number of SMEs are incredibly entrepreneurial but may not have the depth of resilience to get through something like this and will therefore need help to develop a new skill set.
In the APPGs letter to Rt Hon Steve Barclay MP, the point from Cllr Haysey is reiterated that ‘many businesses in the region are extremely entrepreneurial and innovative but do not always have, or are able to recruit, those with the right skills. Delivering with FE the skilled workforce needed post Coronavirus is a critical task.’
Calculated molecules, kept here for reference =
{
  "formula": "C16H55N11O12",
  "method": "ωB97M-V/def2-TZVPD",
  "lumo_energy_ev": 0.37,
  "orbital_gap_ev": 9.65,
  "homo_ev": -9.27,
  "charge": 0,
  "e_tot_ha": -2147.836412,
  "species": ["C", "O", "C", "C", "N", "C", "C", "O", "C", "H", "H", "H", "H", "H", "H", "H", "H", "H", "H", "H", "H", "H", "H", "H", "N", "C", "N", "O", "H", "H", "H", "H", "N", "C", "N", "O", "H", "H", "H", "H", "N", "C", "N", "O", "H", "H", "H", "H", "N", "C", "N", "O", "H", "H", "H", "H", "N", "C", "N", "O", "H", "H", "H", "H", "C", "O", "H", "H", "H", "H", "C", "O", "H", "H", "H", "H", "C", "O", "H", "H", "H", "H", "C", "O", "H", "H", "H", "H", "C", "O", "H", "H", "H", "H"],
  "xyz": [[1.526, 2.278, -2.107], [2.306, 2.140, -0.924], [3.068, 0.964, -0.877], [3.979, 0.876, 0.309], [3.424, 0.427, 1.589], [2.364, 1.300, 2.128], [1.927, 0.777, 3.511], [0.786, -0.176, 3.327], [0.404, -0.933, 4.482], [2.087, 2.499, -3.015], [0.881, 3.141, -1.947], [0.919, 1.409, -2.361], [3.706, 0.762, -1.737], [2.362, 0.136, -0.952], [4.381, 1.884, 0.413], [4.859, 0.255, 0.141], [4.116, 0.288, 2.312], [1.438, 1.443, 1.571], [2.752, 2.304, 2.298], [1.740, 1.682, 4.089], [2.745, 0.275, 4.028], [0.259, -0.322, 5.373], [1.065, -1.776, 4.679], [-0.511, -1.460, 4.209], [-3.100, 2.783, -1.927], [-2.841, 3.904, -2.466], [-1.563, 4.064, -2.576], [-3.678, 4.700, -2.902], [-4.078, 2.579, -1.777], [-2.360, 2.366, -1.381], [-0.898, 3.434, -2.151], [-1.319, 4.976, -2.934], [-0.207, -3.570, -1.693], [0.961, -3.123, -1.569], [1.688, -3.966, -0.941], [1.432, -2.069, -1.977], [-0.515, -4.479, -1.376], [-0.754, -3.028, -2.346], [2.624, -3.645, -0.737], [1.295, -4.832, -0.599], [-2.027, 0.135, -3.525], [-2.421, -1.082, -3.899], [-2.810, -1.234, -5.138], [-2.398, -2.002, -3.115], [-2.047, 0.822, -4.265], [-1.809, 0.303, -2.553], [-2.730, -0.406, -5.712], [-3.100, -2.164, -5.402], [-2.192, -4.134, 2.719], [-0.980, -3.998, 2.234], [-0.692, -2.743, 2.111], [-0.174, -4.893, 2.115], [-2.846, -3.370, 2.808], [-2.557, -5.057, 2.905], [-1.332, -2.034, 2.440], [0.262, -2.540, 1.850], [-1.060, 0.805, 1.414], [-0.702, 0.543, 0.150], [-0.012, -0.555, -0.046], [-1.071, 1.253, -0.775], [-1.537, 1.692, 1.490], [-0.505, 0.304, 2.094], [0.151, -1.176, 0.734], [0.382, -0.816, -0.938], [3.101, -2.999, 1.989], [2.165, -2.044, 1.540], [2.590, -3.958, 2.076], [3.936, -3.140, 1.303], [3.450, -2.663, 2.966], [2.501, -1.158, 1.694], [-1.024, 2.724, 4.037], [-1.849, 3.845, 3.991], [-1.506, 1.829, 3.642], [-0.075, 2.875, 3.523], [-0.769, 2.531, 5.079], [-1.859, 4.084, 3.061], [-3.547, -2.060, -0.315], [-4.117, -2.744, -1.440], [-4.106, -2.415, 0.551], [-2.475, -2.223, -0.207], [-3.661, -0.980, -0.410], [-3.501, -2.469, -2.124], [-0.835, 4.697, 0.997], [-2.155, 4.514, 1.490], [-0.641, 4.050, 0.141], [-0.742, 5.736, 0.679], [-0.036, 4.612, 1.734], [-2.843, 5.004, 1.033], [2.306, -0.956, -4.997], [1.941, -0.225, -3.897], [2.806, -1.862, -4.654], [1.351, -1.231, -5.446], [3.086, -0.517, -5.618], [1.437, -0.780, -3.298]],
Additionally, Cllr Haysey said this period has been a learning curve on how Councils connect and communicate with people, and it has highlighted how important digital infrastructure is. She stated that in the East of England the digital infrastructure needs to be a basic utility and one that needs significant improvement. This notion is also restated in the letter that ‘The Coronavirus emergency has highlighted the extreme importance and indeed high dependency of business on digital infrastructure in the East of England and this should be a priority for the Government moving forward.’
The letter to Rt Hon Steve Barclay MP highlighted a total of 12 “consensus” points that were made at the APPG meeting. To read the letter please follow this link
== Records of molecules, as found in the file ==
-- begin --
Entry 1:
Computed, not measured: C18H24BrCoF6NO12S2 as an isolated structure in a non-equilibrium geometry, with ωB97M-V/def2-TZVPD.

Geometry as XYZ:
```
65
Properties=species:S:1:pos:R:3:mulliken_charge:R:1
Co 0.10530 -1.04742 -0.56502 1.595
Br -0.84270 -3.38294 -1.06449 -0.687
C 2.05593 -0.47759 -4.44891 0.704
F 3.27975 -0.80099 -4.89138 -0.195
F 1.55611 0.45875 -5.25067 -0.216
F 1.21974 -1.52923 -4.34953 -0.203
S 2.28906 0.22056 -2.71426 0.542
O 3.65631 0.55533 -2.64037 -0.556
O 1.36321 1.33367 -2.72501 -0.598
N 1.85904 -0.97933 -1.48942 0.167
S 3.13643 -1.88586 -1.34164 0.881
O 2.76845 -2.91797 -0.40478 -0.578
O 3.73073 -2.33264 -2.61089 -0.651
C 4.61576 -0.74913 -0.40698 0.592
F 5.51542 -0.40375 -1.32001 -0.210
F 4.10643 0.36407 0.13724 -0.179
F 5.12769 -1.55187 0.47626 -0.226
O -1.68562 -0.53379 0.41876 0.017
C -2.67317 -0.95272 1.12084 0.114
O -3.81944 -0.27338 1.16268 -0.322
C -4.73466 -0.70497 2.15258 -0.452
C -4.13783 -2.07367 2.62116 -0.631
C -2.67813 -2.05735 2.17301 -0.126
H -5.72921 -0.75049 1.70884 0.300
H -4.60561 0.03023 2.94689 0.275
H -4.61483 -2.91993 2.12679 0.341
H -4.10170 -1.97846 3.70639 0.294
H -2.24406 -2.99327 1.82127 0.349
H -2.00413 -1.77451 2.98161 0.085
O 0.52094 0.91915 0.16950 0.185
C 0.38936 2.16563 0.34484 -0.235
O -0.36702 2.88722 -0.42767 -0.125
C -0.47971 4.19789 -0.12243 -0.418
C 0.43076 4.33776 1.09600 -0.816
C 1.14990 2.93225 1.35687 -0.122
H -1.54708 4.41200 -0.06782 0.328
H -0.13119 4.79725 -0.96350 0.307
H -0.04043 4.73584 1.99468 0.332
H 1.20956 5.08597 0.94853 0.296
H 0.89351 2.63231 2.37294 0.216
H 2.21345 2.91632 1.11872 0.280
O 0.75313 -1.81028 1.62569 -0.547
C 1.42402 -1.86141 2.70088 0.276
O 1.68437 -0.77974 3.56503 -0.274
C 2.48148 -1.17343 4.61288 -0.487
C 3.08145 -2.48230 4.14565 -0.538
C 1.88300 -3.10092 3.42739 -0.564
H 1.87983 -1.18668 5.52169 0.343
H 3.35900 -0.52808 4.65257 0.279
H 3.45686 -3.09069 4.96848 0.390
H 3.84411 -2.38006 3.37364 0.222
H 1.19876 -3.66530 4.06096 0.322
H 2.20622 -3.87717 2.73380 0.314
O -1.18286 -0.22439 -2.17614 -0.447
C -1.98981 0.50101 -2.75392 -0.011
O -3.21999 -0.06015 -3.11856 -0.380
C -4.08912 0.89724 -3.70918 -0.473
C -2.98886 1.95784 -4.28600 -0.662
C -1.88856 1.96808 -3.27841 0.164
H -4.87596 1.26873 -3.05269 0.251
H -4.60524 0.38619 -4.52192 0.297
H -3.45561 2.94207 -4.24660 0.319
H -2.76367 1.66868 -5.31253 0.335
H -2.09105 2.66230 -2.46283 -0.018
H -0.85784 2.05755 -3.62149 0.235
```

E_HOMO (alpha / beta)   -7.63 / -7.59 eV
Gap between HOMO and LUMO (alpha / beta)   7.7 / 7.7 eV
M   763.3 g/mol
Net charge   0
Energy above the lowest of the compared OMol25 structures with the same formula, charge and spin   11.4 kJ/mol
2S+1   4

=====

Entry 2:
Computed, not measured: C18H24CaN2O4Se2 as an isolated structure in a non-equilibrium geometry, with ωB97M-V/def2-TZVPD.

Geometry as XYZ:
```
51
Properties=species:S:1:pos:R:3:mulliken_charge:R:1
Ca -0.01753 -0.30942 0.06108 1.840
C -2.06230 2.28555 0.08085 -0.593
C -2.03374 1.62720 1.44257 -0.854
-- stop --
== Back to the text ==
As the meeting drew to a close Cllr Linda Haysey, said “we will get through this, though things will be different we will all work together; collaboration and mutual respect are key to recovery.”
The meeting minutes can be found here.